Given
/*
No. 1
Simulated powder X-ray diffraction pattern of YHf3C2Se2 for Cu Kα, from a DFT-relaxed cell (GGA-PBE, OQMD).

Top 10 peaks for 2θ from 10° to 90°, low angle first:
2θ 29.5, intensity 28, (1 0 0)
2θ 30.4, intensity 12, (0 1 1)
2θ 36.4, intensity 100, (1 0 3)
2θ 41.1, intensity 9, (1 0 4)
2θ 42.5, intensity 11, (0 0 6)
2θ 52.4, intensity 26, (1 1 0)
2θ 52.6, intensity 11, (0 1 6)
2θ 65.5, intensity 18, (0 2 3)
2θ 69.6, intensity 16, (1 1 6)
2θ 88.5, intensity 17, (2 1 3)

```
data_YHf3C2Se2
_symmetry_space_group_name_H-M 'P 3 m 1'
_symmetry_Int_Tables_number 156
_symmetry_space_group_name_Hall 'P 3 -2"'
_cell_length_a 3.4933
_cell_length_b 3.4933
_cell_length_c 12.7723
_cell_angle_alpha 90.00
_cell_angle_beta 90.00
_cell_angle_gamma 120.00
loop_
_atom_site_label
_atom_site_type_symbol
_atom_site_fract_x
_atom_site_fract_y
_atom_site_fract_z
Y1 Y 0.0000 0.0000 0.0000
Hf1 Hf 0.0000 0.0000 0.3128
Hf2 Hf 0.3333 0.6667 0.4966
Hf3 Hf 0.3333 0.6667 0.7996
C1 C 0.6667 0.3333 0.4051
C2 C 0.6667 0.3333 0.8846
Se1 Se 0.0000 0.0000 0.6468
Se2 Se 0.3333 0.6667 0.1666
```

***

No. 2
Simulated powder X-ray diffraction pattern of HfZr3C2Se2 for Cu Kα, from a DFT-relaxed cell (GGA-PBE, OQMD).

Top 10 peaks for 2θ from 10° to 90°, low angle first:
2θ 29.7, intensity 28, (1 0 0)
2θ 30.6, intensity 7, (1 0 1)
2θ 36.8, intensity 100, (0 1 3)
2θ 43.0, intensity 12, (0 0 6)
2θ 52.8, intensity 25, (1 1 0)
2θ 53.2, intensity 12, (1 0 6)
2θ 66.0, intensity 18, (2 0 3)
2θ 70.4, intensity 16, (1 1 6)
2θ 74.7, intensity 9, (0 1 9)
2θ 89.4, intensity 16, (1 2 3)

```
data_HfZr3C2Se2
_symmetry_space_group_name_H-M 'P 3 m 1'
_symmetry_Int_Tables_number 156
_symmetry_space_group_name_Hall 'P 3 -2"'
_cell_length_a 3.4691
_cell_length_b 3.4691
_cell_length_c 12.6186
_cell_angle_alpha 90.00
_cell_angle_beta 90.00
_cell_angle_gamma 120.00
loop_
_atom_site_label
_atom_site_type_symbol
_atom_site_fract_x
_atom_site_fract_y
_atom_site_fract_z
Hf1 Hf 0.0000 0.0000 0.0000
Zr1 Zr 0.0000 0.0000 0.3087
Zr2 Zr 0.3333 0.6667 0.5010
Zr3 Zr 0.3333 0.6667 0.8101
C1 C 0.6667 0.3333 0.4047
C2 C 0.6667 0.3333 0.9095
Se1 Se 0.0000 0.0000 0.6557
Se2 Se 0.3333 0.6667 0.1519
```

----------

# 1
Structure and simulated powder diffraction line list of Ba12Pd5Br (a GGA-PBE-relaxed structure; CuKα).

Cell and atoms:
```
Ba12Pd5Br
1.0
4.063 -7.046 0.000
4.063 7.046 0.000
-2.676 0.000 15.134
Ba Pd Br
12 5 1
Cartesian
1.355 2.345 1.723
-0.157 0.000 5.736
1.291 2.497 9.389
0.039 0.000 13.414
1.355 -2.345 1.723
4.158 2.497 5.745
1.291 -2.497 9.389
4.094 2.345 13.411
5.411 0.000 1.720
4.158 -2.497 5.745
5.606 0.000 9.397
4.094 -2.345 13.411
0.000 0.000 0.000
2.725 4.702 7.567
4.063 2.355 0.000
4.063 -2.355 0.000
2.725 -4.702 7.567
2.725 0.000 7.567
```

Principal peaks in the range 15 to 90 degrees two-theta, in order of rising 2θ:
Position (°2θ)  d (Å)  I_rel
23.98  3.710  100
25.86  3.445  90
26.98  3.305  36
29.49  3.029  63
35.41  2.535  35
38.35  2.347  83
38.70  2.327  28
40.23  2.242  19
45.75  1.983  20
63.09  1.474  22


# 2
Structure and simulated powder diffraction line list of BaPm2Br8 (a GGA-PBE-relaxed structure; CuKα).

Cell and atoms:
```
BaPm2Br8
1.0
8.440 -3.557 0.000
8.440 3.557 0.000
-2.362 0.000 6.474
Ba Pm Br
1 2 8
Cartesian
0.000 0.000 0.000
2.711 0.000 5.287
11.807 0.000 1.187
5.721 1.776 1.085
2.303 0.000 2.407
8.797 1.776 5.389
5.422 0.000 4.753
9.096 0.000 1.721
5.721 -1.776 1.085
12.214 0.000 4.067
8.797 -1.776 5.389
```

Principal peaks in the range 15 to 90 degrees two-theta, in order of rising 2θ:
Position (°2θ)  d (Å)  I_rel
20.69  4.292  43
21.66  4.104  40
25.04  3.557  25
29.00  3.079  100
29.58  3.020  31
31.89  2.806  33
32.58  2.748  90
33.86  2.647  50
39.62  2.275  29
51.40  1.778  34


# 3
Structure and simulated powder diffraction line list of Rb2BaPmBr8 (a GGA-PBE-relaxed structure; CuKα).

Cell and atoms:
```
Rb2BaPmBr8
1.0
6.628 0.000 0.000
0.836 7.793 0.000
0.002 0.008 9.766
Rb Ba Pm Br
2 1 1 8
Cartesian
0.002 0.006 2.353
7.463 7.795 7.413
*/

What to do
Write out the entries further above verbatim, please.

Response
No. 1
Simulated powder X-ray diffraction pattern of YHf3C2Se2 for Cu Kα, from a DFT-relaxed cell (GGA-PBE, OQMD).

Top 10 peaks for 2θ from 10° to 90°, low angle first:
2θ 29.5, intensity 28, (1 0 0)
2θ 30.4, intensity 12, (0 1 1)
2θ 36.4, intensity 100, (1 0 3)
2θ 41.1, intensity 9, (1 0 4)
2θ 42.5, intensity 11, (0 0 6)
2θ 52.4, intensity 26, (1 1 0)
2θ 52.6, intensity 11, (0 1 6)
2θ 65.5, intensity 18, (0 2 3)
2θ 69.6, intensity 16, (1 1 6)
2θ 88.5, intensity 17, (2 1 3)

```
data_YHf3C2Se2
_symmetry_space_group_name_H-M 'P 3 m 1'
_symmetry_Int_Tables_number 156
_symmetry_space_group_name_Hall 'P 3 -2"'
_cell_length_a 3.4933
_cell_length_b 3.4933
_cell_length_c 12.7723
_cell_angle_alpha 90.00
_cell_angle_beta 90.00
_cell_angle_gamma 120.00
loop_
_atom_site_label
_atom_site_type_symbol
_atom_site_fract_x
_atom_site_fract_y
_atom_site_fract_z
Y1 Y 0.0000 0.0000 0.0000
Hf1 Hf 0.0000 0.0000 0.3128
Hf2 Hf 0.3333 0.6667 0.4966
Hf3 Hf 0.3333 0.6667 0.7996
C1 C 0.6667 0.3333 0.4051
C2 C 0.6667 0.3333 0.8846
Se1 Se 0.0000 0.0000 0.6468
Se2 Se 0.3333 0.6667 0.1666
```

***

No. 2
Simulated powder X-ray diffraction pattern of HfZr3C2Se2 for Cu Kα, from a DFT-relaxed cell (GGA-PBE, OQMD).

Top 10 peaks for 2θ from 10° to 90°, low angle first:
2θ 29.7, intensity 28, (1 0 0)
2θ 30.6, intensity 7, (1 0 1)
2θ 36.8, intensity 100, (0 1 3)
2θ 43.0, intensity 12, (0 0 6)
2θ 52.8, intensity 25, (1 1 0)
2θ 53.2, intensity 12, (1 0 6)
2θ 66.0, intensity 18, (2 0 3)
2θ 70.4, intensity 16, (1 1 6)
2θ 74.7, intensity 9, (0 1 9)
2θ 89.4, intensity 16, (1 2 3)

```
data_HfZr3C2Se2
_symmetry_space_group_name_H-M 'P 3 m 1'
_symmetry_Int_Tables_number 156
_symmetry_space_group_name_Hall 'P 3 -2"'
_cell_length_a 3.4691
_cell_length_b 3.4691
_cell_length_c 12.6186
_cell_angle_alpha 90.00
_cell_angle_beta 90.00
_cell_angle_gamma 120.00
loop_
_atom_site_label
_atom_site_type_symbol
_atom_site_fract_x
_atom_site_fract_y
_atom_site_fract_z
Hf1 Hf 0.0000 0.0000 0.0000
Zr1 Zr 0.0000 0.0000 0.3087
Zr2 Zr 0.3333 0.6667 0.5010
Zr3 Zr 0.3333 0.6667 0.8101
C1 C 0.6667 0.3333 0.4047
C2 C 0.6667 0.3333 0.9095
Se1 Se 0.0000 0.0000 0.6557
Se2 Se 0.3333 0.6667 0.1519
```

----------

# 1
Structure and simulated powder diffraction line list of Ba12Pd5Br (a GGA-PBE-relaxed structure; CuKα).

Cell and atoms:
```
Ba12Pd5Br
1.0
4.063 -7.046 0.000
4.063 7.046 0.000
-2.676 0.000 15.134
Ba Pd Br
12 5 1
Cartesian
1.355 2.345 1.723
-0.157 0.000 5.736
1.291 2.497 9.389
0.039 0.000 13.414
1.355 -2.345 1.723
4.158 2.497 5.745
1.291 -2.497 9.389
4.094 2.345 13.411
5.411 0.000 1.720
4.158 -2.497 5.745
5.606 0.000 9.397
4.094 -2.345 13.411
0.000 0.000 0.000
2.725 4.702 7.567
4.063 2.355 0.000
4.063 -2.355 0.000
2.725 -4.702 7.567
2.725 0.000 7.567
```

Principal peaks in the range 15 to 90 degrees two-theta, in order of rising 2θ:
Position (°2θ)  d (Å)  I_rel
23.98  3.710  100
25.86  3.445  90
26.98  3.305  36
29.49  3.029  63
35.41  2.535  35
38.35  2.347  83
38.70  2.327  28
40.23  2.242  19
45.75  1.983  20
63.09  1.474  22


# 2
Structure and simulated powder diffraction line list of BaPm2Br8 (a GGA-PBE-relaxed structure; CuKα).

Cell and atoms:
```
BaPm2Br8
1.0
8.440 -3.557 0.000
8.440 3.557 0.000
-2.362 0.000 6.474
Ba Pm Br
1 2 8
Cartesian
0.000 0.000 0.000
2.711 0.000 5.287
11.807 0.000 1.187
5.721 1.776 1.085
2.303 0.000 2.407
8.797 1.776 5.389
5.422 0.000 4.753
9.096 0.000 1.721
5.721 -1.776 1.085
12.214 0.000 4.067
8.797 -1.776 5.389
```

Principal peaks in the range 15 to 90 degrees two-theta, in order of rising 2θ:
Position (°2θ)  d (Å)  I_rel
20.69  4.292  43
21.66  4.104  40
25.04  3.557  25
29.00  3.079  100
29.58  3.020  31
31.89  2.806  33
32.58  2.748  90
33.86  2.647  50
39.62  2.275  29
51.40  1.778  34


# 3
Structure and simulated powder diffraction line list of Rb2BaPmBr8 (a GGA-PBE-relaxed structure; CuKα).

Cell and atoms:
```
Rb2BaPmBr8
1.0
6.628 0.000 0.000
0.836 7.793 0.000
0.002 0.008 9.766
Rb Ba Pm Br
2 1 1 8
Cartesian
0.002 0.006 2.353
7.463 7.795 7.413